== Work order ==
Print the listing underneath without additions.

== Given ==
┌──
MgSi2NiO6: theoretical PXRD pattern (Cu Kα, 1.54184 Å), based on a structure optimized by DFT (GGA+U).
Intensities are scaled so that the largest is 100.

Cell and atoms:
```
data_MgSi2NiO6
_chemical_formula_sum 'Mg4 Si8 Ni4 O24'
_space_group_name_H-M_alt 'C 1 2/c 1'
_space_group_IT_number 15
_cell_length_a 9.7714
_cell_length_b 9.0047
_cell_length_c 5.2826
_cell_angle_alpha 90.00
_cell_angle_beta 108.80
_cell_angle_gamma 90.00
loop_
_space_group_symop_operation_xyz
'x,y,z'
'-x,-y,-z'
'-x,y,-z+1/2'
'x,-y,z+1/2'
'x+1/2,y+1/2,z'
'-x+1/2,-y+1/2,-z'
'-x+1/2,y+1/2,-z+1/2'
'x+1/2,-y+1/2,z+1/2'
loop_
_atom_site_label
_atom_site_type_symbol
_atom_site_fract_x
_atom_site_fract_y
_atom_site_fract_z
Mg1 Mg 0.0000 0.2460 0.2500
Si1 Si 0.2017 0.4110 0.7471
Ni1 Ni 0.0000 0.0976 0.7500
O1 O 0.1204 0.0891 0.1481
O2 O 0.1234 0.2556 0.6330
O3 O 0.1464 0.4688 0.9951
```

Most intense lines, 2θ = 15–90°, in order of rising 2θ:
| 2θ/deg | I/Imax |
| --- | --- |
| 29.38 | 100 |
| 30.65 | 84 |
| 34.59 | 67 |
| 35.92 | 39 |
| 36.38 | 40 |
| 41.56 | 21 |
| 41.82 | 39 |
| 43.94 | 20 |
| 56.17 | 48 |
| 61.57 | 18 |
| 67.02 | 32 |
| 73.61 | 18 |

***

Mg6VBiO8: theoretical PXRD pattern (Cu Kα, 1.54184 Å), based on a structure optimized by DFT (GGA+U).
Intensities are scaled so that the largest is 100.

Cell and atoms:
```
data_Mg6VBiO8
_chemical_formula_sum 'Mg6 V1 Bi1 O8'
_space_group_name_H-M_alt 'P 4/m m m'
_space_group_IT_number 123
_space_group_name_Hall '-P 4 2'
_cell_length_a 4.5086
_cell_length_b 4.5086
_cell_length_c 9.0490
_cell_angle_alpha 90.00
_cell_angle_beta 90.00
_cell_angle_gamma 90.00
loop_
_atom_site_label
_atom_site_type_symbol
_atom_site_fract_x
_atom_site_fract_y
_atom_site_fract_z
Mg1 Mg 0.0000 0.0000 0.0000
Mg2 Mg 0.0000 0.0000 0.5000
Mg3 Mg 0.0000 0.5000 0.2341
V1 V 0.5000 0.5000 0.0000
Bi1 Bi 0.5000 0.5000 0.5000
O1 O 0.0000 0.0000 0.2488
O2 O 0.0000 0.5000 0.0000
O3 O 0.0000 0.5000 0.5000
O4 O 0.5000 0.5000 0.2318
```

Most intense lines, 2θ = 15–90°, in order of rising 2θ:
| 2θ/deg | I/Imax |
| --- | --- |
| 19.67 | 100 |
| 22.03 | 54 |
| 27.95 | 86 |
| 29.68 | 42 |
| 34.41 | 61 |
| 39.85 | 37 |
| 39.99 | 77 |
| 44.88 | 32 |
| 49.46 | 38 |
| 57.73 | 46 |
| 57.85 | 24 |
| 72.55 | 22 |

***

Li4Fe7P6O24: theoretical PXRD pattern (Cu Kα, 1.54184 Å), based on a structure optimized by DFT (GGA+U).
Intensities are scaled so that the largest is 100.

Cell and atoms:
```
data_Li4Fe7P6O24
_chemical_formula_sum 'Li8 Fe14 P12 O48'
_space_group_name_H-M_alt 'C 1 m 1'
_space_group_IT_number 8
_cell_length_a 11.1686
_cell_length_b 14.1125
_cell_length_c 6.5138
_cell_angle_alpha 90.00
_cell_angle_beta 104.69
_cell_angle_gamma 90.00
loop_
_space_group_symop_operation_xyz
'x,y,z'
'x,-y,z'
'x+1/2,y+1/2,z'
'x+1/2,-y+1/2,z'
loop_
_atom_site_label
_atom_site_type_symbol
_atom_site_fract_x
_atom_site_fract_y
_atom_site_fract_z
Li1 Li 0.0000 0.0000 0.0000
Li2 Li 0.1947 0.5000 0.0893
Li3 Li 0.3908 0.1174 0.0264
Fe1 Fe 0.1094 0.1831 0.3723
Fe2 Fe 0.2591 0.3186 0.7437
Fe3 Fe 0.4288 0.5000 0.5434
Fe4 Fe 0.4315 0.1433 0.5379
P1 P 0.0249 0.1927 0.8441
P2 P 0.1087 0.5000 0.4808
P3 P 0.2467 0.0000 0.6362
P4 P 0.3337 0.3128 0.2599
O1 O 0.1051 0.2134 0.6853
O2 O 0.1063 0.4113 0.6266
O3 O 0.1084 0.1722 0.0643
O4 O 0.1202 0.0000 0.6844
O5 O 0.2273 0.5000 0.4007
O6 O 0.2504 0.3500 0.0478
O7 O 0.2561 0.2930 0.4234
O8 O 0.2599 0.0895 0.4980
O9 O 0.3547 0.0000 0.8390
O10 O 0.4060 0.2182 0.2468
O11 O 0.4337 0.2202 0.8255
O12 O 0.4346 0.3949 0.7846
O13 O 0.4367 0.3897 0.3351
O14 O 0.4893 0.0000 0.2988
```

Most intense lines, 2θ = 15–90°, in order of rising 2θ:
| 2θ/deg | I/Imax |
| --- | --- |
| 23.79 | 61 |
| 31.09 | 22 |
| 31.28 | 100 |
| 32.59 | 17 |
| 33.48 | 72 |
| 37.04 | 26 |
| 38.27 | 22 |
| 40.61 | 21 |
| 42.02 | 15 |
| 46.14 | 15 |
| 50.70 | 15 |
| 56.58 | 17 |

***

Li9Mn7O16: theoretical PXRD pattern (Cu Kα, 1.54184 Å), based on a structure optimized by DFT (GGA+U).
Intensities are scaled so that the largest is 100.

Cell and atoms:
```
data_Li9Mn7O16
└──

== Done ==
MgSi2NiO6: theoretical PXRD pattern (Cu Kα, 1.54184 Å), based on a structure optimized by DFT (GGA+U).
Intensities are scaled so that the largest is 100.

Cell and atoms:
```
data_MgSi2NiO6
_chemical_formula_sum 'Mg4 Si8 Ni4 O24'
_space_group_name_H-M_alt 'C 1 2/c 1'
_space_group_IT_number 15
_cell_length_a 9.7714
_cell_length_b 9.0047
_cell_length_c 5.2826
_cell_angle_alpha 90.00
_cell_angle_beta 108.80
_cell_angle_gamma 90.00
loop_
_space_group_symop_operation_xyz
'x,y,z'
'-x,-y,-z'
'-x,y,-z+1/2'
'x,-y,z+1/2'
'x+1/2,y+1/2,z'
'-x+1/2,-y+1/2,-z'
'-x+1/2,y+1/2,-z+1/2'
'x+1/2,-y+1/2,z+1/2'
loop_
_atom_site_label
_atom_site_type_symbol
_atom_site_fract_x
_atom_site_fract_y
_atom_site_fract_z
Mg1 Mg 0.0000 0.2460 0.2500
Si1 Si 0.2017 0.4110 0.7471
Ni1 Ni 0.0000 0.0976 0.7500
O1 O 0.1204 0.0891 0.1481
O2 O 0.1234 0.2556 0.6330
O3 O 0.1464 0.4688 0.9951
```

Most intense lines, 2θ = 15–90°, in order of rising 2θ:
| 2θ/deg | I/Imax |
| --- | --- |
| 29.38 | 100 |
| 30.65 | 84 |
| 34.59 | 67 |
| 35.92 | 39 |
| 36.38 | 40 |
| 41.56 | 21 |
| 41.82 | 39 |
| 43.94 | 20 |
| 56.17 | 48 |
| 61.57 | 18 |
| 67.02 | 32 |
| 73.61 | 18 |

***

Mg6VBiO8: theoretical PXRD pattern (Cu Kα, 1.54184 Å), based on a structure optimized by DFT (GGA+U).
Intensities are scaled so that the largest is 100.

Cell and atoms:
```
data_Mg6VBiO8
_chemical_formula_sum 'Mg6 V1 Bi1 O8'
_space_group_name_H-M_alt 'P 4/m m m'
_space_group_IT_number 123
_space_group_name_Hall '-P 4 2'
_cell_length_a 4.5086
_cell_length_b 4.5086
_cell_length_c 9.0490
_cell_angle_alpha 90.00
_cell_angle_beta 90.00
_cell_angle_gamma 90.00
loop_
_atom_site_label
_atom_site_type_symbol
_atom_site_fract_x
_atom_site_fract_y
_atom_site_fract_z
Mg1 Mg 0.0000 0.0000 0.0000
Mg2 Mg 0.0000 0.0000 0.5000
Mg3 Mg 0.0000 0.5000 0.2341
V1 V 0.5000 0.5000 0.0000
Bi1 Bi 0.5000 0.5000 0.5000
O1 O 0.0000 0.0000 0.2488
O2 O 0.0000 0.5000 0.0000
O3 O 0.0000 0.5000 0.5000
O4 O 0.5000 0.5000 0.2318
```

Most intense lines, 2θ = 15–90°, in order of rising 2θ:
| 2θ/deg | I/Imax |
| --- | --- |
| 19.67 | 100 |
| 22.03 | 54 |
| 27.95 | 86 |
| 29.68 | 42 |
| 34.41 | 61 |
| 39.85 | 37 |
| 39.99 | 77 |
| 44.88 | 32 |
| 49.46 | 38 |
| 57.73 | 46 |
| 57.85 | 24 |
| 72.55 | 22 |

***

Li4Fe7P6O24: theoretical PXRD pattern (Cu Kα, 1.54184 Å), based on a structure optimized by DFT (GGA+U).
Intensities are scaled so that the largest is 100.

Cell and atoms:
```
data_Li4Fe7P6O24
_chemical_formula_sum 'Li8 Fe14 P12 O48'
_space_group_name_H-M_alt 'C 1 m 1'
_space_group_IT_number 8
_cell_length_a 11.1686
_cell_length_b 14.1125
_cell_length_c 6.5138
_cell_angle_alpha 90.00
_cell_angle_beta 104.69
_cell_angle_gamma 90.00
loop_
_space_group_symop_operation_xyz
'x,y,z'
'x,-y,z'
'x+1/2,y+1/2,z'
'x+1/2,-y+1/2,z'
loop_
_atom_site_label
_atom_site_type_symbol
_atom_site_fract_x
_atom_site_fract_y
_atom_site_fract_z
Li1 Li 0.0000 0.0000 0.0000
Li2 Li 0.1947 0.5000 0.0893
Li3 Li 0.3908 0.1174 0.0264
Fe1 Fe 0.1094 0.1831 0.3723
Fe2 Fe 0.2591 0.3186 0.7437
Fe3 Fe 0.4288 0.5000 0.5434
Fe4 Fe 0.4315 0.1433 0.5379
P1 P 0.0249 0.1927 0.8441
P2 P 0.1087 0.5000 0.4808
P3 P 0.2467 0.0000 0.6362
P4 P 0.3337 0.3128 0.2599
O1 O 0.1051 0.2134 0.6853
O2 O 0.1063 0.4113 0.6266
O3 O 0.1084 0.1722 0.0643
O4 O 0.1202 0.0000 0.6844
O5 O 0.2273 0.5000 0.4007
O6 O 0.2504 0.3500 0.0478
O7 O 0.2561 0.2930 0.4234
O8 O 0.2599 0.0895 0.4980
O9 O 0.3547 0.0000 0.8390
O10 O 0.4060 0.2182 0.2468
O11 O 0.4337 0.2202 0.8255
O12 O 0.4346 0.3949 0.7846
O13 O 0.4367 0.3897 0.3351
O14 O 0.4893 0.0000 0.2988
```

Most intense lines, 2θ = 15–90°, in order of rising 2θ:
| 2θ/deg | I/Imax |
| --- | --- |
| 23.79 | 61 |
| 31.09 | 22 |
| 31.28 | 100 |
| 32.59 | 17 |
| 33.48 | 72 |
| 37.04 | 26 |
| 38.27 | 22 |
| 40.61 | 21 |
| 42.02 | 15 |
| 46.14 | 15 |
| 50.70 | 15 |
| 56.58 | 17 |

***

Li9Mn7O16: theoretical PXRD pattern (Cu Kα, 1.54184 Å), based on a structure optimized by DFT (GGA+U).
Intensities are scaled so that the largest is 100.

Cell and atoms:
```
data_Li9Mn7O16